Learn how to access and interpret non-electoral ballot metrics and reports on the ONR platform's Power Admin. This guide will help you navigate participation data, download insightful reports, and understand key voting metrics.
In this guide, we'll explore how to utilize the Participation module in Power Admin to view important metrics and participation data related to your published non-electoral ballots. Additionally, we'll delve into the process of downloading essential reports, such as the Vote Breakdown Report and Votes by Unit Report, and provide insights into the information contained within each report.
NOTE: Before proceeding, make sure you are logged into your Power Admin account at https://poweradmin.onrapp.us/. Please note that only account administrators have access to view this information.
Which Units Have Cast an Online Vote?
Step 1: Access the PARTICIPATION & APPROVALS MODULE in your Power Admin account by selecting the "hand inserting a paper ballot" icon from the left-side menu options and choosing "VOTING."
Step 2: Locate the specific ballot for which you wish to gather information. Find an overview of metrics regarding the ballot's status. Click the three-dot icon in the top right corner of the ballot.
Step 3: Choose "VIEW BALLOT."
Step 4: On the ensuing screen, you will encounter general information about the ballot along with relevant voting metrics (screenshot below) ⬇️.
- Total units: The total count of units registered to your association (including test units for management and ONR support staff).
- Units Voted: The total number of units that have submitted their electronic vote.
- Votes Cast: The cumulative number of votes from all participating units. (more on this below)
For example, if a ballot offers four options and a unit owner is allowed to select up to two options, and they vote for two options, the "Votes Cast" count becomes 2. - Participation: The percentage of eligible owners who have participated in the vote.
Step 5: Moving on, let's explore the Tally & Results tab:

Misplaced crystal structures:
┌──
Arrangement one

The following is a PBE with a Hubbard U calculation of crystalline MgV4O7F5 at its relaxed geometry, from Materials Project. Values from VASP.

Geometry as Quantum ESPRESSO input:
```
&SYSTEM
  ibrav = 0, nat = 17, ntyp = 4
/
ATOMIC_SPECIES
V 50.94 V.upf
F 19.00 F.upf
Mg 24.30 Mg.upf
O 16.00 O.upf
CELL_PARAMETERS angstrom
-5.295 0.022 0.085
0.046 5.896 -4.088
0.082 -3.458 -4.480
ATOMIC_POSITIONS crystal
V 0.469 0.998 0.529
V 0.939 0.996 0.036
V 0.022 0.511 0.005
V 0.508 0.490 0.461
F 0.803 0.959 0.696
F 0.208 0.444 0.678
F 0.162 0.074 0.327
F 0.718 0.540 0.765
F 0.823 0.536 0.295
Mg 0.983 0.217 0.608
O 0.313 0.462 0.216
O 0.286 0.053 0.759
O 0.679 0.958 0.181
O 0.624 0.234 0.491
O 0.439 0.761 0.495
O 0.942 0.256 0.966
O 0.081 0.751 0.003
```

## Properties
Crystal system ... triclinic
Magnetic moment ... 0.18 μB per atom

=====

Arrangement two

The following is a PBE with a Hubbard U calculation of crystalline MgV4O7F5 at its relaxed geometry, from Materials Project. Values from VASP.

Geometry as Quantum ESPRESSO input:
```
&SYSTEM
  ibrav = 0, nat = 17, ntyp = 4
/
ATOMIC_SPECIES
O 16.00 O.upf
V 50.94 V.upf
F 19.00 F.upf
Mg 24.30 Mg.upf
CELL_PARAMETERS angstrom
4.625 0.226 2.551
4.421 2.053 -2.471
-1.096 8.681 0.984
ATOMIC_POSITIONS crystal
O 0.465 0.215 0.640
O 0.445 0.751 0.062
O 0.093 0.237 0.422
O 0.996 0.747 0.881
O 0.561 0.273 0.335
O 0.438 0.727 0.695
O 0.946 0.231 0.128
V 0.768 0.470 0.241
V 0.262 0.541 0.737
V 0.046 0.941 0.011
V 0.463 0.079 0.473
F 0.558 0.229 0.926
F 0.100 0.202 0.836
F 0.950 0.718 0.183
F 0.557 0.753 0.376
F 0.923 0.741 0.578
Mg 0.555 0.896 0.850
```

## Properties
Crystal system ... triclinic
Magnetic moment ... 0.18 μB per atom

=====

Arrangement three

The following is a PBE with a Hubbard U calculation of crystalline MgV4O7F5 at its relaxed geometry, from Materials Project. Values from VASP.

Geometry as Quantum ESPRESSO input:
```
&SYSTEM
  ibrav = 0, nat = 17, ntyp = 4
/
ATOMIC_SPECIES
O 16.00 O.upf
F 19.00 F.upf
V 50.94 V.upf
Mg 24.30 Mg.upf
CELL_PARAMETERS angstrom
-5.012 -0.043 0.000
-2.552 -4.868 0.106
-0.024 -3.112 8.542
ATOMIC_POSITIONS crystal
O 0.407 0.770 0.065
O 0.558 0.250 0.915
O 0.917 0.760 0.188
O 0.585 0.290 0.335
O 0.412 0.739 0.680
O 0.924 0.748 0.562
O 0.114 0.257 0.419
F 0.051 0.275 0.815
F 0.468 0.274 0.622
F 0.001 0.750 0.874
F 0.975 0.259 0.115
F 0.484 0.764 0.374
V 0.760 0.495 0.240
V 0.510 0.993 0.509
V 0.019 0.982 0.007
V 0.267 0.513 0.764
Mg 0.179 0.620 0.399
```

## Properties
Crystal system ... triclinic
Magnetic moment ... 0.18 μB per atom

=====

Energies, relative to the best one, in kJ/mol of atoms: arrangement one 6.0; arrangement two 0.0; arrangement three 4.5.

=====

Arrangement one

The following is a PBE with a Hubbard U calculation of crystalline MnP2O7 at its relaxed geometry, from Materials Project. Values from VASP.

Geometry as Quantum ESPRESSO input:
```
&SYSTEM
  ibrav = 0, nat = 40, ntyp = 3
/
ATOMIC_SPECIES
O 16.00 O.upf
P 30.97 P.upf
└──
Back to the page:
To gain insight into the tally's breakdown, access this screen.
- EXPORT REPORT: By selecting this button, you can instantly pull a report to your computer. You have the flexibility to download it before or after closing the ballot. This will result in a PDF file (as shown below) being downloaded to your computer.
(PDF File - ⬇️)
Step 6: Next, let's delve into the Vote Breakdown tab (the recommended report for non-electoral votes):
This tab provides an overview of each cast vote by unit. The "Date" field specifies when the vote was cast, while the "Option" column indicates the selected option. ⬇️
EXPORT REPORT: Use this button to download a comprehensive Vote Breakdown Report. This report lists all units that have cast electronic votes for the ballot (up to the moment you selected this button). The report includes details like units, user names, voting dates, and chosen options. ⬇️
Upon pressing the button, you'll be prompted to choose the desired file format for download. ⬇️
Opting for PDF results in an immediate PDF file download.
Choosing CSV will trigger an email with a link for instant downloading of a CSV (Excel) file type of the report. ⬇️
Step 7: Now, let's explore the Vote By Unit tab:
********
MgTi6N4O6 | the Materials Project database | PBE | relaxed; formation energy from the elements = -234.8 kJ per mole of atoms; final energy = -149.3 eV/cell
1.0
5.0456 -1.9022 0.0000
5.0456 1.9022 0.0000
-0.5200 0.0000 10.1074
Mg Ti N O
1 6 4 6
Cartesian
0.0000 0.0000 0.0000
2.9307 0.0000 0.3376
3.4504 0.0000 3.3028
3.3838 0.0000 7.3248
6.1791 0.0000 2.3973
6.0878 0.0000 8.2652
6.7336 0.0000 5.2936
1.5421 0.0000 1.7412
4.2473 0.0000 9.0685
5.2293 0.0000 4.0426
7.7855 0.0000 7.1229
1.3089 0.0000 8.6882
2.2901 0.0000 5.2108
4.4136 0.0000 1.5549
5.1726 0.0000 6.6079
7.9539 0.0000 0.0517
7.9700 0.0000 3.5180

---

MgTi6N4O6 | the Materials Project database | PBE | relaxed; formation energy from the elements = -235.2 kJ per mole of atoms; final energy = -149.3 eV/cell
1.0
4.8866 -2.0073 0.0000
4.8866 2.0073 0.0000
-0.5000 0.0000 9.8719
Mg Ti N O
1 6 4 6
Cartesian
0.0000 0.0000 0.0000
2.6116 0.0000 7.4124
3.1488 0.0000 0.7716
3.2100 0.0000 4.4951
6.0632 0.0000 5.3768
6.1244 0.0000 9.1003
6.6616 0.0000 2.4595
********
Back to the piece:

This tab presents a comprehensive list of all units within the system and whether they've cast votes for the specific ballot you're viewing. ⬇️
- The "Voted" column indicates if a unit has voted electronically (not the specific choices made).
- The "Opted-In" column indicates if a unit has opted in to vote for this ballot.
EXPORT REPORT Button: Clicking this button lets you choose your preferred file format for downloading. Keep an eye on your email inbox for a message from no-reply@onrapp.com (remember to check your spam/junk folder).
Click "DOWNLOAD," and the report will automatically save to your computer's downloads folder.
Step 8: Important Note - The ONR platform does not currently support adding Physical Votes to the electronic tally.
If you experience any problems or need additional assistance, don't hesitate to reach out to our dedicated support team at support@onrapp.com